We have all seen the movie Contact or know what it is about. However, just tonight I was told of a more jaw dropping event that is about to happen. Most people don't remember the dates but August 6 and 9, 1945 will always be remembered by approximatly 1 in 18 people that we either interact with throughtout the day or pass by on the street. That date was the day that our own President Harry S. Trueman ordered the "Little Boy" to be dropped on Hiroshima. We all know the impact that made on the world.
Well that was only the beginning. Three days after Hiroshima, the Japanese willingly did not give up it's battle. Then came the bomb on the morning of August 9, 1945 where a U.S. B-29 Superfortress Bockscar, flown by the crew of 393rd Squadron commander Major Charles W. Sweeney, carried the nuclear bomb code-named "Fat Man". Where did it hit......anybody have a guess. If you guessed Nagasaki you are right. The plane was low on fuel and the cloud cover was very horrible and the mission was almost called off but with a few second window they dropped Fat Man. This plutonium filled bomb was detonated at 469 meters above the earth's floor. Hence, a blast that yielded an equivalent to 21 kilotons of TNT. This resulted in the second live combat nuclear destruction with an astounding TOTAL destruction zone of just over two miles, and that does not inclued the aftermath. Where am I going with this you may ask. Well, in just three days our world will conduct a test that may supersede these explostions that may unknowningly top Little Boy and Fat Man to somewhere say......close to infinity. If you don't know what made these bombs so useful it is called either nuclear fusion which is the process by which multiple like-charged atomic nuclei join together to form a heavier nucleus. The second way these bombs can carve such a destructive (even more so than fusion) path is called nuclear fission. Nuclear fission is the splitting of the nucleus of an atom into parts (lighter nuclei) often producing free neutrons and other smaller nuclei, which may eventually produce photons (in the form of gamma rays). So what would you say if we were to split a photon? This will all be unveiled starting on Wednesday. Dr. Lyn Evans (the third from the left)
is in charge of building the giant atom smasher buried underground at Cern – the European Centre for Nuclear Research – in Switzerland. Dr. Lyn Evans is the mastermind of the Large Hadron Collider (LHC).
In the test — taking place 300ft underground near the French-Swiss border — atomic particles, inside the LHC, will be fired in opposite directions along a 17-mile tunnel at mind-boggling speeds. When I say mind boggling speeds, I mean speeds within a fraction of the speed of light. So what is going to happen when they fire these atomic particles, or photons, on Wednesday. Well nothing! This would be a boring story if that were the end. However, when Dr. Lyn Evans starts the machine up on Wednesday are we just looking to see if we can get the atomic particles to make it around the 17 mile tunnel and shut it down? Nope! This wonderful, in it's own way, experimentation will keep the lab running. You may ask yourself.....for how long? Well the intention of the Dr. Evans and his Scientists is to attempt to recreate conditions in the first billionths of a second after the Big Bang start of the universe. Why would this concern us? Well to simulate the creation of the universe you would have both fusion and fission working together to create matter. However, when this matter evolves into something that we can see we end up with one of many things, but for this example I will use our Star. Yes the star that the nine...wait 10 planets are revolving around. Will our star last forever? Dustin, don't give it away for every body else. Nope...our star will soon die. When our star dies it will become either a black dwarf, neutron star, or black hole, depending on how massive it is, in which we don't even know the exact weight of our star. We will likely not see a black hole but we will surely see a black dwarf or a neutron star. Don't worry....if our star dies it will expand way past Jupiter before it implodes into a speck of a high light producing mass and we will all be burnt up and toasted like an OU tailgate party. OK...OK...Back to the LHC. With these atomic particles spinning in opposite directions they will eventually hit each other. When this happens they will split and we all know what that does. It produces energy. So now more particles are spinning in opposite directions. So when they flip the switch on Wednesday will we all submit ourselves to an earth destroying black hole. No. The scientists predict that they will not see results for approximatly four years. I will end my post with this.
• These calculated crystals were left in the text by mistake:
____________
For AlH4Pd6, a cell relaxed with PBE gives the simulated powder XRD pattern in this record (Cu Kα, 1.54184 Å).
Peak positions follow from Bragg's law for the DFT cell and can differ from measured ones.

Cell and atoms:
```
data_AlH4Pd6
_space_group_name_H-M_alt 'P 1 21/m 1'
_space_group_IT_number 11
_cell_length_a 3.680
_cell_length_b 13.948
_cell_length_c 5.029
_cell_angle_alpha 90.00
_cell_angle_beta 111.38
_cell_angle_gamma 90.00
loop_
_space_group_symop_operation_xyz
'x,y,z'
'-x,-y,-z'
'-x,y+1/2,-z'
'x,-y+1/2,z'
loop_
_atom_site_label
_atom_site_type_symbol
_atom_site_fract_x
_atom_site_fract_y
_atom_site_fract_z
Al1 Al 0.190 0.250 0.369
H1 H 0.085 0.121 0.846
H2 H 0.451 0.038 0.288
Pd1 Pd 0.000 0.000 0.000
Pd2 Pd 0.119 0.750 0.242
Pd3 Pd 0.282 0.080 0.581
Pd4 Pd 0.422 0.649 0.845
```

Largest 6 diffraction maxima, sorted by position, 10° ≤ 2θ ≤ 90°:
(1 3 0), 2θ = 32.47°, rel. 50
(1 4 -1), 2θ = 36.78°, rel. 100
(0 5 1), 2θ = 37.53°, rel. 35
(1 1 1), 2θ = 38.36°, rel. 73
(1 2 -2), 2θ = 40.02°, rel. 47
(0 6 1), 2θ = 43.46°, rel. 36

---

For Pr2AlHPd6, a cell relaxed with PBE gives the simulated powder XRD pattern in this record (Cu Kα, 1.54184 Å).
Peak positions follow from Bragg's law for the DFT cell and can differ from measured ones.

Cell and atoms:
```
data_Pr2AlHPd6
_space_group_name_H-M_alt 'P -1'
_space_group_IT_number 2
_cell_length_a 5.799
_cell_length_b 5.806
_cell_length_c 6.886
_cell_angle_alpha 65.33
_cell_angle_beta 89.95
_cell_angle_gamma 60.05
loop_
_space_group_symop_operation_xyz
'x,y,z'
'-x,-y,-z'
loop_
_atom_site_label
_atom_site_type_symbol
_atom_site_fract_x
_atom_site_fract_y
_atom_site_fract_z
Pr1 Pr 0.228 0.043 0.184
Al1 Al 0.500 0.500 0.000
H1 H 0.000 0.500 0.500
Pd1 Pd 0.229 0.539 0.691
Pd2 Pd 0.230 0.039 0.691
Pd3 Pd 0.269 0.460 0.310
```

Largest 6 diffraction maxima, sorted by position, 10° ≤ 2θ ≤ 90°:
(0 0 2), 2θ = 29.60°, rel. 33
(2 2 0), 2θ = 37.13°, rel. 100
(1 1 -2), 2θ = 39.11°, rel. 14
(0 2 0), 2θ = 40.93°, rel. 23
(2 0 -2), 2θ = 41.15°, rel. 46
(2 4 2), 2θ = 64.16°, rel. 16

---

For AlZnHPd4, a cell relaxed with PBE gives the simulated powder XRD pattern in this record (Cu Kα, 1.54184 Å).
Peak positions follow from Bragg's law for the DFT cell and can differ from measured ones.

Cell and atoms:
```
data_AlZnHPd4
_space_group_name_H-M_alt 'C m c m'
_space_group_IT_number 63
_space_group_name_Hall '-C 2c 2'
_cell_length_a 5.419
_cell_length_b 13.093
_cell_length_c 5.424
_cell_angle_alpha 90.00
_cell_angle_beta 90.00
_cell_angle_gamma 90.00
loop_
_atom_site_label
_atom_site_type_symbol
_atom_site_fract_x
_atom_site_fract_y
_atom_site_fract_z
Al1 Al 0.000 0.113 0.250
Zn1 Zn 0.000 0.391 0.250
H1 H 0.000 0.260 0.750
Pd1 Pd 0.000 0.073 0.750
Pd2 Pd 0.000 0.419 0.750
Pd3 Pd 0.250 0.250 0.000
```

Largest 6 diffraction maxima, sorted by position, 10° ≤ 2θ ≤ 90°:
(2 2 0), 2θ = 35.85°, rel. 100
(0 6 0), 2θ = 41.37°, rel. 30
(2 4 0), 2θ = 43.34°, rel. 67
(2 0 2), 2θ = 47.43°, rel. 50
(2 6 2), 2θ = 64.73°, rel. 31
____________
Tom Feilden, a top science expert in the world stated on BBC Radio 4’s Today show.
He said: “Don’t panic. The world is not going to end on Wednesday.
The Collider almost certainly WILL produce microscopic black holes, perhaps at a rate as high as one every second. But these will be so small and unstable that they will vanish as quickly as they form."
Hmmmm...Yes, I will take the number 3 with large fries and a couple black holes on the side please.